News for June 29 — Delta Variant: Bring Back Masks

Delta variant: Bring back masks: . Given the number of unvaccinated people, this is a reasonable idea. Unfortunately, now that masks have become a political issue, unruly behavior (including violence) is sure to follow.

WSJ: A Delta variant primer: .

Delta variant causes review of health protocols: . Continued US outbreaks approach, driven by the Delta variant and focused on the unvaccinated. The unvaccinated include rural residents, GOP members, minority groups and the young. We therefore have good indications of the location and potential severity of outbreaks.

The primary countermeasure will be to continue to encourage vaccination. Local influencers, particularly family doctors and religious leaders, will be a focal point. We should be ramping up testing, contact tracing and genomic testing. So far there is little sign of significant progress in these areas.

It is although worth noting that as temperatures rise, people will be indoors with air conditioning. This poses much greater risk than outdoor activities. The return of school in the fall is another potential flashpoint.

WSJ: US vaccinations lag: . The government’s talk of enabling local influencers must be converted into action.

Moderna vaccine effective against Delta variant in the lab: . However, note that it performed less well against the South African (Beta) variant.

WSJ: Contact tracing refocuses: . The US effort remains completely inadequate. Nothing in this article suggests we have a coherent national approach. We don’t even know how many tracers there are, as the article admits.

WSJ: Sanofi to join mRNA race: . There is no doubt that mRNA technology is the future of vaccines for viral disease, and other diseases as well.

Stone Age plague bacteria discovered: . It shows that the bacterium evolved over the next 4,000 years to become much more deadly. So please, enough already with the COVID-flu comparisons. The epidemiologists who are saying this are ignoring the basic evidence. We simply don’t know how COVID will evolve, except that it likely will reside in the human population for the foreseeable future.

The page is interrupted by crystal structures:
- - -
No. 1
Below is a geometry-optimized BaNbSe2Br structure, with properties calculated at the PBE-GGA level.

abc: 5.140 5.140 5.308
angles: 90.00 90.00 90.00
Fractional coordinates of all 5 atoms:
Se  0.500  0.000  0.000
Se  0.000  0.500  0.000
Br  0.000  0.000  0.500
Nb  0.000  0.000  0.000
Ba  0.500  0.500  0.500

Summary:
**Calculated density**: 5.5 g/cm3
**Offset from the most stable computed form**: 0.0 meV per atom
**Symmetry**: P4/mmm
**Magnetization**: 0.000 μB per atom
**Formation energy from raw total energies**: -107 kJ/mol of atoms
**V**: 140 Å³/f.u.

***

No. 2
Below is a geometry-optimized BaNbSe2Br structure, with properties calculated at the PBE-GGA level.

abc: 6.072 6.072 5.926
angles: 90.00 90.00 90.00
Fractional coordinates of all 5 atoms:
Se  0.000  0.500  0.000
Se  0.500  0.000  0.000
Nb  0.500  0.500  0.500
Br  0.000  0.000  0.500
Ba  0.000  0.000  0.000

Summary:
**Calculated density**: 3.6 g/cm3
**Offset from the most stable computed form**: 1662.4 meV per atom
**Symmetry**: P4/mmm
**Magnetization**: 0.421 μB per atom
**Formation energy from raw total energies**: 53 kJ/mol of atoms
**V**: 219 Å³/f.u.

***

No. 3
Below is a geometry-optimized BaNbTl2Br8 structure, with properties calculated at the PBE-GGA level.

abc: 7.193 7.514 9.131
angles: 89.92 90.06 91.19
Fractional coordinates of all 12 atoms:
Br  0.359  0.261  0.500
Br  0.641  0.739  0.500
Br  0.307  0.169  0.001
Br  0.873  0.217  0.796
Br  0.127  0.783  0.204
Br  0.693  0.831  0.999
Br  0.127  0.783  0.797
Br  0.873  0.217  0.203
Tl  0.500  0.500  0.758
Tl  0.500  0.500  0.242
Ba  0.000  0.000  0.500
Nb  0.000  0.000  0.000

Summary:
**Calculated density**: 4.3 g/cm3
**Symmetry**: P-1
**Magnetization**: 0.083 μB per atom
**Formation energy from raw total energies**: -111 kJ/mol of atoms
**V**: 493 Å³/f.u.

***

No. 4
Below is a geometry-optimized BaNdBr structure, with properties calculated at the PBE-GGA level.

abc: 3.990 3.991 16.064
angles: 90.00 90.00 119.99
Fractional coordinates of all 6 atoms:
Br  0.277  0.555  0.869
Br  0.277  0.555  0.131
Nd  0.611  0.221  0.000
Nd  0.278  0.557  0.500
Ba  0.611  0.223  0.703
Ba  0.611  0.223  0.297

Summary:
**Calculated density**: 5.4 g/cm3
**Symmetry**: Amm2
**Magnetization**: 0.003 μB per atom
**Formation energy from raw total energies**: -76 kJ/mol of atoms
**V**: 111 Å³/f.u.

***

No. 5
Below is a geometry-optimized Ba2NdBr6 structure, with properties calculated at the PBE-GGA level.

abc: 7.626 7.626 13.473
angles: 90.00 90.00 90.00
Fractional coordinates of all 18 atoms:
Br  0.780  0.220  0.500
Br  0.796  0.204  0.851
Br  0.204  0.796  0.851
Br  0.204  0.796  0.149
Br  0.220  0.780  0.500
Br  0.296  0.296  0.351
Br  0.280  0.280  0.000
Br  0.796  0.204  0.149
Br  0.704  0.704  0.351
Br  0.720  0.720  0.000
Br  0.704  0.704  0.649
Br  0.296  0.296  0.649
Ba  0.500  0.500  0.823
Ba  0.000  0.000  0.677
Ba  0.000  0.000  0.323
Ba  0.500  0.500  0.177
Nd  0.000  0.000  0.000
Nd  0.500  0.500  0.500

Summary:
- - -

WSJ: Opioid litigation continues in New York: .

WSJ: A flawed stock tout of Biogen: . The drug and its price tag remain controversial. If the Lilly drug is more effective in trials than the Biogen drug, there is almost no reason to prescribe the Biogen drug.

Meanwhile, in economic news …

WSJ: United buys a boatload of planes: . This huge bet on the Boeing 737 MAX seems ill-advised. Consumer resistance to the plane will harden with any more problems.

WSJ: US home prices spiral upward: . One would think this upward price spiral is due for a correction.

Manchin supports additional infrastructure package through reconciliation: .

Arizona election audit increasingly a GOP embarrassment: . It was easy to predict this would fail. However, the level of goofiness has been surprising.

Why is the Miami condo collapse search taking so long?: (link replaced 11/7/21). The article asks the question everyone wants answered. The answer is not forthcoming. We do learn that a large trench was dug underneath the rubble. Presumably that was felt to give the best chance of locating survivors. It didn’t. While the collapse risk is significant, the daily progress of rubble removal seems slow by any standard. WSJ: More: .

A grand jury will probe the collapse: (link replaced 11/7/21). WSJ: Meanwhile, the paperwork finger-pointing grows: .